The reader should write out the lines further below unchanged.
........
{"formula": "Zr2Ga5NiRu2", "functional": "PBE", "state": "relaxed", "cell": [[10.2969, 0.0000, 0.0000], [0.0000, 10.2969, 0.0000], [0.0000, 0.0000, 3.0685]], "species": ["Zr", "Zr", "Zr", "Zr", "Ga", "Ga", "Ga", "Ga", "Ga", "Ga", "Ga", "Ga", "Ga", "Ga", "Ni", "Ni", "Ru", "Ru", "Ru", "Ru"], "fractional_positions": [[0.1782, 0.3218, 0.0000], [0.3218, 0.8218, 0.0000], [0.6782, 0.1782, 0.0000], [0.8218, 0.6782, 0.0000], [0.0000, 0.5000, 0.5000], [0.0538, 0.8146, 0.5000], [0.1854, 0.0538, 0.5000], [0.3146, 0.5538, 0.5000], [0.4462, 0.3146, 0.5000], [0.5000, 0.0000, 0.5000], [0.5538, 0.6854, 0.5000], [0.6854, 0.4462, 0.5000], [0.8146, 0.9462, 0.5000], [0.9462, 0.1854, 0.5000], [0.0000, 0.0000, 0.0000], [0.5000, 0.5000, 0.0000], [0.1343, 0.6343, 0.0000], [0.3657, 0.1343, 0.0000], [0.6343, 0.8657, 0.0000], [0.8657, 0.3657, 0.0000]], "total_magnetization_mub_per_cell": 0.0, "dft_energy_ev_per_cell": -119.963}


{"formula": "PrDyGa", "functional": "PBE", "state": "relaxed", "cell": [[8.0249, 0.0000, 0.0000], [-4.0125, 6.9498, 0.0000], [0.0000, 0.0000, 4.5066]], "species": ["Pr", "Pr", "Pr", "Dy", "Dy", "Dy", "Ga", "Ga", "Ga"], "fractional_positions": [[0.0000, 0.6011, 0.0000], [0.3989, 0.3989, 0.0000], [0.6011, 0.0000, 0.0000], [0.0000, 0.2665, 0.5000], [0.2665, 0.0000, 0.5000], [0.7335, 0.7335, 0.5000], [0.0000, 0.0000, 0.0000], [0.3333, 0.6667, 0.5000], [0.6667, 0.3333, 0.5000]], "total_magnetization_mub_per_cell": 0.8, "polymorph_energy_kj_per_mol_atoms": 0.00}


{"formula": "Y2ErPb2", "functional": "PBE", "state": "relaxed", "cell": [[2.5037, -9.1294, 0.0000], [2.5037, 9.1294, 0.0000], [0.0000, 0.0000, 6.5449]], "species": ["Y", "Y", "Y", "Y", "Er", "Er", "Pb", "Pb", "Pb", "Pb"], "fractional_positions": [[0.9996, 0.0004, 0.0000], [0.0004, 0.9996, 0.5000], [0.1896, 0.8104, 0.7520], [0.8104, 0.1896, 0.2520], [0.3943, 0.6057, 0.7491], [0.6057, 0.3943, 0.2491], [0.1960, 0.8040, 0.2523], [0.4246, 0.5754, 0.2500], [0.5754, 0.4246, 0.7500], [0.8040, 0.1960, 0.7523]], "total_magnetization_mub_per_cell": 0.0, "dft_energy_ev_per_cell": -54.430}


{"formula": "BaCoPPd", "functional": "PBE", "state": "relaxed", "cell": [[3.8583, 0.0000, 0.0000], [0.0000, 3.8583, 0.0000], [0.0000, 0.0000, 11.2784]], "species": ["Ba", "Ba", "Co", "Co", "P", "P", "Pd", "Pd"], "fractional_positions": [[0.2500, 0.2500, 0.2330], [0.7500, 0.7500, 0.7670], [0.2500, 0.7500, 0.5000], [0.7500, 0.2500, 0.5000], [0.2500, 0.2500, 0.5990], [0.7500, 0.7500, 0.4010], [0.2500, 0.7500, 0.0000], [0.7500, 0.2500, 0.0000]], "total_magnetization_mub_per_cell": 1.1, "dft_energy_ev_per_cell": -44.288}


{"formula": "Li3CrCu", "functional": "PBE", "state": "relaxed", "cell": [[4.8268, 0.0000, 0.0000], [0.0000, 4.8268, 0.0000], [0.0000, 0.0000, 4.8268]], "species": ["Li", "Li", "Li", "Cr", "Cu"], "fractional_positions": [[0.0000, 0.0000, 0.5000], [0.0000, 0.5000, 0.0000], [0.5000, 0.0000, 0.0000], [0.0000, 0.0000, 0.0000], [0.5000, 0.5000, 0.5000]], "total_magnetization_mub_per_cell": 4.8, "polymorph_energy_kj_per_mol_atoms": 0.00}


{"formula": "TiZnTcAu", "functional": "PBE", "state": "relaxed", "cell": [[3.2295, 0.0000, 0.0000], [0.0000, 3.2295, 0.0000], [0.0000, 0.0000, 5.9842]], "species": ["Ti", "Zn", "Tc", "Au"], "fractional_positions": [[0.0000, 0.0000, 0.0000], [0.0000, 0.0000, 0.4579], [0.5000, 0.5000, 0.2154], [0.5000, 0.5000, 0.7125]], "total_magnetization_mub_per_cell": 0.0, "polymorph_energy_kj_per_mol_atoms": 0.00}


{"formula": "Ta2Ti4Mo", "functional": "PBE", "state": "relaxed", "cell": [[2.8751, 0.0000, 0.0000], [-0.9458, 6.9239, 0.0000], [-1.1121, -3.4178, 6.0557]], "species": ["Ta", "Ta", "Ti", "Ti", "Ti", "Ti", "Mo"], "fractional_positions": [[0.0506, 0.2806, 0.4266], [0.9494, 0.7194, 0.5734], [0.2829, 0.8560, 0.2735], [0.4024, 0.4095, 0.1380], [0.5976, 0.5905, 0.8620], [0.7171, 0.1440, 0.7265], [0.5000, 0.0000, 0.0000]], "total_magnetization_mub_per_cell": 0.0, "polymorph_energy_kj_per_mol_atoms": 0.00}
........
{"formula": "Zr2Ga5NiRu2", "functional": "PBE", "state": "relaxed", "cell": [[10.2969, 0.0000, 0.0000], [0.0000, 10.2969, 0.0000], [0.0000, 0.0000, 3.0685]], "species": ["Zr", "Zr", "Zr", "Zr", "Ga", "Ga", "Ga", "Ga", "Ga", "Ga", "Ga", "Ga", "Ga", "Ga", "Ni", "Ni", "Ru", "Ru", "Ru", "Ru"], "fractional_positions": [[0.1782, 0.3218, 0.0000], [0.3218, 0.8218, 0.0000], [0.6782, 0.1782, 0.0000], [0.8218, 0.6782, 0.0000], [0.0000, 0.5000, 0.5000], [0.0538, 0.8146, 0.5000], [0.1854, 0.0538, 0.5000], [0.3146, 0.5538, 0.5000], [0.4462, 0.3146, 0.5000], [0.5000, 0.0000, 0.5000], [0.5538, 0.6854, 0.5000], [0.6854, 0.4462, 0.5000], [0.8146, 0.9462, 0.5000], [0.9462, 0.1854, 0.5000], [0.0000, 0.0000, 0.0000], [0.5000, 0.5000, 0.0000], [0.1343, 0.6343, 0.0000], [0.3657, 0.1343, 0.0000], [0.6343, 0.8657, 0.0000], [0.8657, 0.3657, 0.0000]], "total_magnetization_mub_per_cell": 0.0, "dft_energy_ev_per_cell": -119.963}


{"formula": "PrDyGa", "functional": "PBE", "state": "relaxed", "cell": [[8.0249, 0.0000, 0.0000], [-4.0125, 6.9498, 0.0000], [0.0000, 0.0000, 4.5066]], "species": ["Pr", "Pr", "Pr", "Dy", "Dy", "Dy", "Ga", "Ga", "Ga"], "fractional_positions": [[0.0000, 0.6011, 0.0000], [0.3989, 0.3989, 0.0000], [0.6011, 0.0000, 0.0000], [0.0000, 0.2665, 0.5000], [0.2665, 0.0000, 0.5000], [0.7335, 0.7335, 0.5000], [0.0000, 0.0000, 0.0000], [0.3333, 0.6667, 0.5000], [0.6667, 0.3333, 0.5000]], "total_magnetization_mub_per_cell": 0.8, "polymorph_energy_kj_per_mol_atoms": 0.00}


{"formula": "Y2ErPb2", "functional": "PBE", "state": "relaxed", "cell": [[2.5037, -9.1294, 0.0000], [2.5037, 9.1294, 0.0000], [0.0000, 0.0000, 6.5449]], "species": ["Y", "Y", "Y", "Y", "Er", "Er", "Pb", "Pb", "Pb", "Pb"], "fractional_positions": [[0.9996, 0.0004, 0.0000], [0.0004, 0.9996, 0.5000], [0.1896, 0.8104, 0.7520], [0.8104, 0.1896, 0.2520], [0.3943, 0.6057, 0.7491], [0.6057, 0.3943, 0.2491], [0.1960, 0.8040, 0.2523], [0.4246, 0.5754, 0.2500], [0.5754, 0.4246, 0.7500], [0.8040, 0.1960, 0.7523]], "total_magnetization_mub_per_cell": 0.0, "dft_energy_ev_per_cell": -54.430}


{"formula": "BaCoPPd", "functional": "PBE", "state": "relaxed", "cell": [[3.8583, 0.0000, 0.0000], [0.0000, 3.8583, 0.0000], [0.0000, 0.0000, 11.2784]], "species": ["Ba", "Ba", "Co", "Co", "P", "P", "Pd", "Pd"], "fractional_positions": [[0.2500, 0.2500, 0.2330], [0.7500, 0.7500, 0.7670], [0.2500, 0.7500, 0.5000], [0.7500, 0.2500, 0.5000], [0.2500, 0.2500, 0.5990], [0.7500, 0.7500, 0.4010], [0.2500, 0.7500, 0.0000], [0.7500, 0.2500, 0.0000]], "total_magnetization_mub_per_cell": 1.1, "dft_energy_ev_per_cell": -44.288}


{"formula": "Li3CrCu", "functional": "PBE", "state": "relaxed", "cell": [[4.8268, 0.0000, 0.0000], [0.0000, 4.8268, 0.0000], [0.0000, 0.0000, 4.8268]], "species": ["Li", "Li", "Li", "Cr", "Cu"], "fractional_positions": [[0.0000, 0.0000, 0.5000], [0.0000, 0.5000, 0.0000], [0.5000, 0.0000, 0.0000], [0.0000, 0.0000, 0.0000], [0.5000, 0.5000, 0.5000]], "total_magnetization_mub_per_cell": 4.8, "polymorph_energy_kj_per_mol_atoms": 0.00}


{"formula": "TiZnTcAu", "functional": "PBE", "state": "relaxed", "cell": [[3.2295, 0.0000, 0.0000], [0.0000, 3.2295, 0.0000], [0.0000, 0.0000, 5.9842]], "species": ["Ti", "Zn", "Tc", "Au"], "fractional_positions": [[0.0000, 0.0000, 0.0000], [0.0000, 0.0000, 0.4579], [0.5000, 0.5000, 0.2154], [0.5000, 0.5000, 0.7125]], "total_magnetization_mub_per_cell": 0.0, "polymorph_energy_kj_per_mol_atoms": 0.00}


{"formula": "Ta2Ti4Mo", "functional": "PBE", "state": "relaxed", "cell": [[2.8751, 0.0000, 0.0000], [-0.9458, 6.9239, 0.0000], [-1.1121, -3.4178, 6.0557]], "species": ["Ta", "Ta", "Ti", "Ti", "Ti", "Ti", "Mo"], "fractional_positions": [[0.0506, 0.2806, 0.4266], [0.9494, 0.7194, 0.5734], [0.2829, 0.8560, 0.2735], [0.4024, 0.4095, 0.1380], [0.5976, 0.5905, 0.8620], [0.7171, 0.1440, 0.7265], [0.5000, 0.0000, 0.0000]], "total_magnetization_mub_per_cell": 0.0, "polymorph_energy_kj_per_mol_atoms": 0.00}